Duty of Care in Suicide Prevention

Mode Category
Balance Type
Balance for

Suicide Prevention Summary

Chinese sign for Crisis = Danger + opportunityQ – What feelings might you feel if a client talks about suicide?

  • Eg responsible, incompetent, fearful, anxious, overwhelmed, out of control

Q – What can you do to help yourself?

  • Panic – How do we recognize in ourselves?
  • Accept your own fear and have the courage to address the issue
  • Relax and stay calm, centered with client
  • Recognise limits
  • Don’t assume total responsibility for the situation
  • Know what resources are available
  • Have a framework to guide you
  • Have clinical supervision available afterwards for debriefing

Q – How can we help the client?

  • Don’t avoid the issue
  • Be direct, not tentative. This de-stigmatises and normalises the feelings. It will not increase the risk of suicide. Think of suicide risk like a pressure cooker – your job is to help release pressure.
  • Further normalise the feelings they have through your reactions and responses
  • Ask about specifics – plans, attempts, what triggered, what stopped them.
  • Express your own concerns about the risk and explain strategy with them
  • Ask them to make a no harm agreement or contract with you
  • Be yourself and focus on the relationship – listening, compassion, presence
  • Trust that they want to live

Q – Why might clients not want to talk about it?

  • Eg stigma, feelings of failure, need for support & loss of independence

Q – How do we assess risk?

**These quantum chemistry results were left in the text by mistake**
=====
one) 63
Properties=species:S:1:pos:R:3 method="wB97M-V/def2-TZVPD" lumo_ev="-3.4 / -2.9" homo_ev="-12.15 / -11.88" s_squared=0.7550 charge=+1 spin_multiplicity=2
Cr -0.0369 -1.0974 -0.0392
O -1.6676 -2.2461 -0.1265
C -1.8418 -2.7639 -1.4600
C -0.5551 -3.4754 -1.8077
N 0.5988 -2.6021 -1.4786
C 1.7360 -3.3224 -0.8477
C 2.1461 -2.5773 0.4112
O 3.2908 -2.4022 0.7594
O 1.1049 -2.1034 1.0656
C 1.1080 -1.8089 -2.6226
C 1.9041 -0.6704 -2.0062
O 3.0182 -0.3223 -2.3260
O 1.2547 -0.1062 -1.0137
H -2.4362 -1.6298 0.1295
H -2.0416 -1.9350 -2.1446
H -2.6830 -3.4563 -1.4784
H -0.5457 -3.7694 -2.8596
H -0.4807 -4.3759 -1.2015
H 2.5801 -3.4182 -1.5291
H 1.4252 -4.3200 -0.5391
H 0.2712 -1.3663 -3.1641
H 1.7189 -2.4099 -3.2965
N 3.5717 0.8484 0.4545
C 2.4730 0.7564 1.4809
C 1.3640 1.7455 1.1782
C 0.1634 1.3990 2.0569
N -0.3926 0.0325 1.7517
C 0.5851 1.5212 3.5258
C 1.8216 0.6722 3.8748
N 1.4506 -0.7554 3.8631
C 2.9814 0.9404 2.9000
H 3.1969 0.6737 -0.4984
H 4.2727 0.1221 0.6219
H 4.0317 1.7590 0.4621
H 2.1130 -0.2603 1.3696
H 1.0892 1.7575 0.1292
H 1.6886 2.7577 1.4445
H -0.6223 2.1232 1.8419
H -1.4037 0.0793 1.8627
H -0.0379 -0.5919 2.4888
H -0.2337 1.2293 4.1869
H 0.7997 2.5737 3.7285
H 2.1549 0.9671 4.8721
H 1.3341 -1.1216 4.7973
H 2.1207 -1.3410 3.3786
H 3.8042 0.2572 3.1286
H 3.3421 1.9644 3.0378
O -3.2113 -0.3131 0.3000
C -2.6770 0.4257 -0.5480
N -1.3834 0.3195 -0.9148
S -1.0077 1.4113 -2.1193
O -0.6635 0.6865 -3.3116
O -0.0996 2.4132 -1.6398
C -2.6261 2.0963 -2.2252
C -3.0939 3.0921 -3.0565
C -4.4264 3.4585 -2.9044
C -5.2405 2.8455 -1.9541
C -4.7478 1.8439 -1.1281
C -3.4215 1.4809 -1.2808
H -2.4569 3.5644 -3.7915
H -4.8394 4.2338 -3.5354
H -6.2727 3.1552 -1.8626
H -5.3693 1.3551 -0.3903

two) 63
Properties=species:S:1:pos:R:3 method="wB97M-V/def2-TZVPD" lumo_ev="-3.6 / -3.0" homo_ev="-12.19 / -12.10" s_squared=0.7581 charge=+1 spin_multiplicity=2
Cr -0.0419 -0.9685 0.6549
O 1.5080 -2.5445 0.7135
C 1.8639 -2.7539 2.1004
C 0.5819 -2.8136 2.8846
N -0.1918 -1.5643 2.6859
C 0.3604 -0.4855 3.5406
C 1.2073 0.4790 2.7159
O 1.9107 1.3086 3.2203
O 1.1062 0.3032 1.3973
C -1.6274 -1.8900 2.8448
C -2.0820 -2.6142 1.5721
O -3.0177 -3.3589 1.5572
O -1.3217 -2.3302 0.5070
H 1.0722 -3.3497 0.3986
H 2.4490 -3.6666 2.2069
H 2.4837 -1.9026 2.3784
H -0.0143 -3.6534 2.5222
H 0.7707 -2.9790 3.9480
H -0.4397 0.0903 3.9900
H 0.9823 -0.8965 4.3371
H -1.8149 -2.5196 3.7162
H -2.1927 -0.9697 2.9521
N 1.6133 1.9515 -1.2412
C 2.0297 1.6498 -2.6525
C 1.0833 0.6375 -3.2972
C 1.2101 -0.8097 -2.8160
N 0.3761 -1.1375 -1.6025
C 2.6814 -1.2342 -2.7258
C 3.6553 -0.2432 -2.0913
N 3.4410 -0.1768 -0.6439
C 3.4765 1.1572 -2.6906
H 0.5862 2.0507 -1.1816
H 2.0358 2.8127 -0.8977
H 1.9598 1.1838 -0.6193
H 1.9441 2.5899 -3.1969
H 1.3380 0.6365 -4.3594
H 0.0508 0.9765 -3.2276
H 0.7773 -1.4232 -3.6105
H 0.4182 -2.1543 -1.5430
H -0.5963 -0.9792 -1.8896
H 3.0161 -1.3908 -3.7542
H 2.7649 -2.2070 -2.2315
H 4.6677 -0.5875 -2.3276
H 4.2155 0.2836 -0.1765
H 3.3454 -1.1019 -0.2432
H 3.7794 1.1329 -3.7395
=====

  • Suicide risk checklist
  • Females more likely to self-harm
  • Males more likely than females to suicide – why? o Less likely to talk about feelings
    • Lethality of method
  • Older men most at risk (75 and above), then 25-45 years next
  • Other risk factors
    • Indigenous
    • Mental illness
    • Rural, isolated (also rural – more exposure to lethal methods)
    • Young LGBT
    • Lower socio-economic status
    • Family issues – abuse, alcoholism etc
    • Bereaved through suicide

Duty of Care in Suicide Prevention

  1. Assess risk – if client safety in doubt, implement plan.
  2. Consider level of risk and own confidence in continuing with client professionally. If risk medium or higher, referral to clinical psychologist is strongly recommended (may be in conjunction with you).
  3. Consider no harm agreement (see Procedures section).
  4. Low risk - request client contact support network person to collect them from clinic (or call them yourself). Explain situation to support person.
  5. Moderate risk – contact support person (if reliable) to collect, explain person should not be left alone and provide resources for ongoing support (local mental health unit, Lifeline)
  6. High risk – call support person AND Lifeline or Mental Health Unit
  7. If no one available, call Lifeline or local Mental Health Acute care unit.
  8. If client leaves without support against your advice, call Police.